xBank Launch Details

Chris xBank
xBank Finance
Published in
4 min readJun 6, 2023

Dear xBankers,

We are almost ready for the launch of xBank on ZkSync. We hope you are as excited as we are for this important milestone. In this article, we will go over all you need to know about the launch to take full advantage of all the upcoming yields and rewards opportunities.

Without further ado, let’s dive in the details


xBANK will go live on June 8th at 8 AM UTC. You will be able to access the app via app.xbank.finance.

📦Product Features:

Supported Assets:

At launch, the platform is going to support two assets: USDC and ETH. We will add other major assets in the future as their circulating supply on zkSync ERA increases.


xBank Money Market will features the following functionalities:

  • Lend: passively earn interest with ability to use deposited asset as collateral for borrowing
  • Borrow: borrow asset in an over-collateralized manner
  • Cross-margin: share margin balances between deposited assets under the same account
  • Toggling Collateral On/Off: specify whether a user wanted the deposited assets to be counted as collateral. While off, assets would still continue to earn yields, but will not be counted towards your borrowing power.

Advanced users can also participate as liquidators to earn bounty rewards when they successfully liquidate accounts with high risk positions as determined by the parameters set forth by the protocol.

Interest Rate Model:

xBank will use a double-slope interest model similar to other Money Market protocols. For more information on the interest rate model, please visit our docs.

85% of the borrowing interest paid will be distributed to lenders while 15% will be retained to fund the project’s operating and development expenses.

🧧 Rewards:

As mentioned in our announcement article, we plan to incentivize our early adopters in two ways:

#1 esXB tokens

esXB token represents an IOU that can later be converted to the xBank’s Governance token.

esXB token can be converted up to 2.5% of the Governance token total supply — the protocol Governance token. The exact percentage will depend on the traction of the protocol in ~3 months after launch.

We will take a snapshot on 30th September 2023 and based on the statistics at the time of the snapshot, we will determine the total tokens allocated to the users. Governance token will be allocated on a pro-rata basis based on the esXB held by users.

Conversion Schedule

The % of the Governance token unlocked will be based on the simple average of the Deposit TVL + Total Borrowed Amount over the 14 days prior to snapshot. Below is the table summarizing the percentage of token allocated based on the deposit & borrow requirements.

For example, if 14-day avg. prior to 30th of September, xBank has the following stats:

  • Total Deposits: $7.25 Mn
  • Total Borrowed: $3.00 Mn

In this scenario, Deposit + Borrowed = $7.25 + $3.00 = $10.25 Mn, which exceeds the 10Mn threshold. Thus, the whole 2.5% will be unlocked and awarded to the esXB holders.

Note: esXB token will be non-transferable

Rewards Distribution

esXB will be emitted at the rate of ~0.127 esXB / second, and will be allocated to the different participants according to the table below:

#2 Airdrop of zkSync’s Governance Token

As previously mentioned, we are committed to sharing the majority of any airdrops to our early adopters. Although Matter Labs has not confirmed an airdrop of their native tokens, they have confirmed their intention to launch a governance token in the future. If xBank receives a portion of this governance token airdrop, we will distribute them to our community as bonus incentives, with a significant portion retroactively allocated to our early adopters.

Here is our distribution plan for the airdrop:

  • 40% of the airdrop will be allocated to esXB token holders.
  • 40% will be reserved for future incentives and initiatives.
  • The remaining 20% will be allocated to the development fund.

We look forward to welcoming all the old and new community members to embark on this journey with us. Join our community to discuss and ask questions. Follow us on our social media for the most up to date information

**These data records were left in the text by mistake**
<<<
# 1
A geometry-optimized Pr7FeI12 structure. Source: Materials Project, functional PBE-GGA.

Structure (CIF):
```
data_Pr7FeI12
_chemical_formula_sum 'Pr21 Fe3 I36'
_cell_length_a 16.1426
_cell_length_b 16.1426
_cell_length_c 11.0670
_cell_angle_alpha 90.00
_cell_angle_beta 90.00
_cell_angle_gamma 120.00
_symmetry_space_group_name_H-M 'R -3'
_symmetry_Int_Tables_number 148
_symmetry_space_group_name_Hall '-R 3'
loop_
_atom_site_label
_atom_site_fract_x
_atom_site_fract_y
_atom_site_fract_z
Pr1 0.0000 0.0000 0.0000
Pr2 0.0443 0.8866 0.3568
Fe1 0.0000 0.0000 0.5000
I1 0.0216 0.4338 0.1634
I2 0.0515 0.8681 0.8401
```

Calculated values
The value obtained for the raw total energy is -4.234 eV/atom.

# 2
A geometry-optimized Na8Zr3Si16SnH16O52 structure. Source: Materials Project, functional PBE-GGA.

Structure (CIF):
```
data_Na8Zr3Si16SnH16O52
_chemical_formula_sum 'Na8 Zr3 Si16 Sn1 H16 O52'
_cell_length_a 7.625
_cell_length_b 8.925
_cell_length_c 16.979
_cell_angle_alpha 90.34
_cell_angle_beta 91.48
_cell_angle_gamma 90.05
_symmetry_space_group_name_H-M 'P -1'
_symmetry_Int_Tables_number 2
_symmetry_space_group_name_Hall '-P 1'
loop_
_atom_site_label
_atom_site_fract_x
_atom_site_fract_y
_atom_site_fract_z
Na1 0.105 0.312 0.395
Na2 0.107 0.189 0.896
Na3 0.394 0.812 0.605
Na4 0.395 0.688 0.104
Zr1 0.000 0.000 0.500
Zr2 0.000 0.500 0.000
Zr3 0.500 0.500 0.500
Si1 0.115 0.658 0.415
Si2 0.118 0.844 0.917
Si3 0.248 0.057 0.157
Si4 0.248 0.441 0.660
Si5 0.252 0.560 0.841
Si6 0.252 0.941 0.339
Si7 0.387 0.157 0.584
Si8 0.387 0.339 0.083
Sn1 0.500 0.000 0.000
H1 0.078 0.601 0.174
H2 0.078 0.899 0.675
H3 0.163 0.698 0.244
H4 0.163 0.802 0.744
H5 0.337 0.197 0.756
H6 0.337 0.302 0.256
H7 0.421 0.101 0.826
H8 0.422 0.399 0.325
O1 0.044 0.053 0.122
O2 0.046 0.446 0.625
O3 0.052 0.767 0.486
O4 0.056 0.734 0.987
O5 0.120 0.042 0.390
O6 0.120 0.458 0.891
O7 0.157 0.685 0.186
O8 0.157 0.815 0.687
O9 0.188 0.763 0.342
O10 0.189 0.738 0.843
O11 0.242 0.033 0.558
O12 0.243 0.463 0.056
O13 0.250 0.501 0.750
O14 0.251 0.997 0.248
O15 0.259 0.534 0.442
O16 0.261 0.972 0.942
O17 0.313 0.234 0.157
O18 0.313 0.264 0.658
O19 0.343 0.186 0.813
O20 0.343 0.315 0.313
O21 0.379 0.543 0.609
O22 0.381 0.955 0.107
O23 0.448 0.266 0.514
O24 0.449 0.231 0.011
O25 0.454 0.556 0.877
O26 0.454 0.946 0.375
```

Calculated values
The value obtained for the raw total energy is -6.858 eV/atom.

# 3
A geometry-optimized GaAgS2 structure. Source: Materials Project, functional PBE-GGA.

Structure (CIF):
```
data_GaAgS2
_chemical_formula_sum 'Ga4 Ag4 S8'
_cell_length_a 8.168
_cell_length_b 8.177
_cell_length_c 6.633
_cell_angle_alpha 90.00
_cell_angle_beta 127.08
_cell_angle_gamma 90.00
_symmetry_space_group_name_H-M 'C 1 c 1'
_symmetry_Int_Tables_number 9
_symmetry_space_group_name_Hall 'C -2yc'
loop_
_atom_site_label
_atom_site_fract_x
_atom_site_fract_y
_atom_site_fract_z
Ga1 0.000 0.122 0.000
Ag1 0.013 0.397 0.498
S1 0.352 0.153 0.235
S2 0.402 0.386 0.762
```

Calculated values
>>>

🔗 Official Links

Below are the official links for xBank:
Website: https://xBank.finance/
Twitter: https://twitter.com/xBankFinance
Discord: https://discord.gg/Ywh9hJg6xv
Telegram: https://t.me/xBankFinance



Chris xBank
xBank Finance

Building the financial institution of tomorrow on StarkNet.